Please find "Pd4 0.867" and "0.899 0.500" in the listing underneath, and write out these two lines and those between.

=====
1.
The following is a DFT calculation (GGA-PBE) of an optimized crystal structure of Mn3Si.

a = 2.595 Å, b = 3.534 Å, c = 5.044 Å
α = 90.00°, β = 90.00°, γ = 90.00°
Fractional positions:
Mn1 0.000 0.000 0.000
Mn2 0.500 0.500 0.253
Mn3 0.500 0.500 0.747
Si1 0.000 0.000 0.500

For the formation energy from raw total energies, the calculation gives -0.8 eV per formula unit. The density is 6.9 g/cm3. The calculation puts the energy at -8.439 eV per atom.

---

2.
The following is a DFT calculation (GGA-PBE) of an optimized crystal structure of Tb5HgPd2.

a = 8.667 Å, b = 8.667 Å, c = 8.667 Å
α = 125.68°, β = 125.68°, γ = 80.41°
Fractional positions:
Tb1 0.000 0.000 0.000
Tb2 0.018 0.518 0.818
Tb3 0.199 0.018 0.500
Tb4 0.301 0.801 0.818
Tb5 0.482 0.301 0.500
Tb6 0.500 0.500 0.000
Tb7 0.518 0.699 0.500
Tb8 0.699 0.199 0.182
Tb9 0.801 0.982 0.500
Tb10 0.982 0.482 0.182
Hg1 0.250 0.250 0.000
Hg2 0.750 0.750 0.000
Pd1 0.133 0.367 0.500
Pd2 0.367 0.867 0.234
Pd3 0.633 0.133 0.766
Pd4 0.867 0.633 0.500

The density is 9.7 g/cm3. The calculation puts the energy at -4.807 eV per atom. The value obtained for the energy of formation is -0.58 eV per atom.

---

3.
The following is a DFT calculation (GGA-PBE) of an optimized crystal structure of Sr2LiRhF.

a = 5.191 Å, b = 5.191 Å, c = 4.023 Å
α = 90.00°, β = 90.00°, γ = 90.00°
Fractional positions:
Sr1 0.000 0.500 0.000
Sr2 0.500 0.000 0.000
Li1 0.000 0.000 0.500
Rh1 0.500 0.500 0.500
F1 0.000 0.000 0.000

For the formation energy from raw total energies, the calculation gives -5.8 eV per formula unit. The density is 4.7 g/cm3. The calculation puts the energy at -4.056 eV per atom.

---

4.
The following is a DFT calculation (GGA-PBE) of an optimized crystal structure of Cs3Ca2Br3Cl4.

a = 14.990 Å, b = 14.990 Å, c = 14.990 Å
α = 159.03°, β = 157.84°, γ = 30.70°
Fractional positions:
Cs1 0.000 0.000 0.000
Cs2 0.185 0.185 0.000
Cs3 0.815 0.815 0.000
Ca1 0.398 0.398 0.000
Ca2 0.602 0.602 0.000
Br1 0.096 0.596 0.500
Br2 0.500 0.500 0.000
Br3 0.904 0.404 0.500
Cl1 0.305 0.305 0.000
Cl2 0.399 0.899 0.500
Cl3 0.601 0.101 0.500
Cl4 0.695 0.695 0.000

For the formation energy from raw total energies, the calculation gives -25.2 eV per formula unit. The density is 3.1 g/cm3. The calculation puts the energy at -3.683 eV per atom.

=====

1.
Material: TaBeAsO
Method: DFT, PBE
State: optimized geometry

Crystal system: tetragonal
Energy above the most stable polymorph in this dataset (eV per atom): 0.379

Structure (POSCAR):
```
TaBeAsO
1.0
-1.502 2.372 -2.048
0.692 -1.964 -2.782
-7.225 -3.805 0.890
O Be As Ta
2 2 2 2
Cartesian
0.000 0.000 0.000
-0.405 0.204 -2.415
-4.017 -1.699 -1.970
-3.612 -1.903 0.445
-1.875 -2.152 -1.117
-5.755 -1.450 -0.408
-1.900 0.581 -0.882
-5.730 -4.182 -0.643
```

=====

2.
Material: Na3ReSi5
Method: DFT, PBE
State: optimized geometry

Crystal system: hexagonal
Final energy (eV/cell): -41.089

Structure (POSCAR):
```
Na3ReSi5
1.0
6.573 0.000 0.000
-3.287 5.693 0.000
0.000 0.000 4.110
Na Si Re
3 5 1
Cartesian
1.446 2.505 0.000
-1.841 3.188 0.000
3.681 0.000 0.000
1.563 0.000 2.055
0.000 3.795 2.055
3.287 1.898 2.055
-0.781 1.353 2.055
2.505 4.339 2.055
0.000 0.000 0.000
```

=====

3.
Material: Cu2SnPd
Method: DFT, PBE
State: optimized geometry

Crystal system: cubic
Final energy (eV/cell): -17.302

Structure (POSCAR):
```
Cu2SnPd
1.0
-2.172 -3.179 -2.148
-3.655 0.971 -2.267
0.045 -0.110 -4.408
Cu Pd Sn
2 1 1
Cartesian
-4.336 -1.738 -6.617
0.000 0.000 0.000
-1.445 -0.579 -2.206
-2.891 -1.159 -4.411
```

=====

4.
Material: TbGdNO
Method: DFT, PBE
State: optimized geometry

Crystal system: orthorhombic
Energy above the most stable polymorph in this dataset (eV per atom): 0.000

Structure (POSCAR):
```
TbGdNO
1.0
1.224 -1.242 3.599
-4.677 -0.272 1.497
-0.310 -6.575 -2.164
Tb O Gd N
2 2 2 2
Cartesian
-2.154 -2.309 -0.064
-4.596 -4.641 -0.038
-4.028 -6.292 1.421
-1.489 -1.899 2.073
-1.698 -6.230 0.650
-3.828 -1.962 2.847
-4.498 -2.470 0.677
-2.260 -4.480 -0.777
```
=====

Pd4 0.867 0.633 0.500

The density is 9.7 g/cm3. The calculation puts the energy at -4.807 eV per atom. The value obtained for the energy of formation is -0.58 eV per atom.

---

3.
The following is a DFT calculation (GGA-PBE) of an optimized crystal structure of Sr2LiRhF.

a = 5.191 Å, b = 5.191 Å, c = 4.023 Å
α = 90.00°, β = 90.00°, γ = 90.00°
Fractional positions:
Sr1 0.000 0.500 0.000
Sr2 0.500 0.000 0.000
Li1 0.000 0.000 0.500
Rh1 0.500 0.500 0.500
F1 0.000 0.000 0.000

For the formation energy from raw total energies, the calculation gives -5.8 eV per formula unit. The density is 4.7 g/cm3. The calculation puts the energy at -4.056 eV per atom.

---

4.
The following is a DFT calculation (GGA-PBE) of an optimized crystal structure of Cs3Ca2Br3Cl4.

a = 14.990 Å, b = 14.990 Å, c = 14.990 Å
α = 159.03°, β = 157.84°, γ = 30.70°
Fractional positions:
Cs1 0.000 0.000 0.000
Cs2 0.185 0.185 0.000
Cs3 0.815 0.815 0.000
Ca1 0.398 0.398 0.000
Ca2 0.602 0.602 0.000
Br1 0.096 0.596 0.500
Br2 0.500 0.500 0.000
Br3 0.904 0.404 0.500
Cl1 0.305 0.305 0.000
Cl2 0.399 0.899 0.500